Monday, September 15, 2008

My Theory About Crickets

Yesterday I did a whole bunch of things. In the morning I did a hike with Professor Chuck up in Jeremy Ranch to check out a new hybrid oak I found a couple weeks back (it’s a biggie- a star of my upcoming hybrid oak series.) In the afternoon I took the Trifecta out birthday-shopping for the Awesome Wife, whose “39th” is coming up later this week. And then in the late afternoon/early evening I did an easy mtn bike ride up around Pinebrook.

What did these 3 activities have in common? Just this: the whole day, wherever I went, I heard crickets chirping. And so this is as good a time as any to go off on my Late Summer Day-Chirping Theory of Crickets.

Tangent: Like pretty much all of my "theories”, this is of course more of a “hypothesis”, since it’s not based on any real hard science or data or experimental results, so much as it is just me going off half-cocked… But I like saying that I have a “theory”, because then the idea sounds somewhat “weightier”…

The “theory” is based on my observation over the last several years that in the early and middle summer. Crickets chirp at night, but rarely during the day. But as you get into late August and through September, it seems like crickets chirp pretty much all day long. Why is this?

Necessary Geeky Cricket Background

Crickets” include all insects in the family Gryllidae, which is defined as the family of “true crickets”, and does not include various cricket-like insects such as Katydids, Grasshoppers or Mormon “Crickets.” Even so, there are over 900 species of Gryllidae worldwide. But the nice-sounding bugs we hear at night are specifically Field Crickets, which belong to the sub-family Gryllinae (yes, it’s the same exact word except with the “d” replaced with an “n”- way confusing...)

There are 20 species of Field Cricket, representing 7 different genera in the US and Canada. 3 of those species, representing 3 of the 7 genera, are exotics, brought from the old world- deliberately or accidentally- by humans. Of the remaining native species, the most widespread (and to my knowledge only field cricket here in Utah) is Gryllus pennsylanicus. G. Pennsylvanicus is found pretty much all over the lower 48 states with the big exception of the Southeast and Gulf Coast, which have their own impressive array of crickets.

All true crickets chirp by rubbing their fore-wings together. Only male crickets (pic below right) chirp. There are supposedly at least 4 different chirps: a “trolling” chirp (my term), calling out to any nearby females, a “courting” chirp, targeting a specific nearby female, a Warning chirp, indicating the presence of a nearby predator, and what appears to be a “post-coital” chirp, the function of which I don’t know, but seems analogous to a post-coital cigarette in the human world.

Bugs don’t have mammal-style ears, but many bugs can “hear” via different organs. In the case of crickets, they have an ear-like organ, complete with a little tympanic drum, on the insides of their knees. Females deposit fertilized eggs- up to 400 per season underground. All adult field crickets die come winter, but their eggs survive, hatching in the Spring and repeating the cycle anew.

The obvious reason why field crickets chirp at night most of the season is because there are a lots of things that eat crickets- birds, squirrels, shrews (not to mention a parasitic fly which lays its eggs on live crickets) and these things generally have an easier time finding crickets during the day. So crickets generally lay low during the day and wait until nightfall to start singing.

Tangent: You’ve probably noticed that day or night, if you try to locate a cricket by honing in on its chirp, when you get close enough it usually has the good sense to shut up. Evolution has clearly favored crickets that shut the hell up when something big is looming over them.

So Why Chirp By Day?

OK, so we know why they chirp, at night, and we know why they shut up during the day. But why do male crickets chirp at during the day at the very end of the summer? My theory: Because they have nothing to lose.

A male cricket who gets eaten/taken out back in June loses a huge opportunity- the chance to mate dozens of times throughout the summer and leave hundreds of offspring. But by mid-September, time is running out. The cricket has at most a few weeks to live. To hold back now during the day means, at best, mere days of additional life. And so the male crickets put it out there; they chirp day and night, trying to mate one last time before the frost gets them.

I’m not suggesting that male crickets sit around consciously noodling this out, like an MIT student gaming a casino or something. Rather I think that male crickets who tend to chirp by day as the days become shorter tend to produce slightly more offspring than crickets who stay day-silent till season-end, and thereby transmit more of their late-season-day-chirping genes to the next generation of G. pennsylvanicus.

I like my cricket theory for 2 reasons. First, it’s cool to think about why stuff happens the way it does in the world around you. Second is the weird applicability to us; in our own lives, we’re repeatedly presented with decisions that entail risks. And in our own way, we’re just like the crickets- our time is limited. We probably won’t die this winter, or the next, but one of these years we will die. The key to life is figuring out when to day-chirp.


The Martinduo said...

Hey Watcher,
I just found your cricket blog via Google. I'm doing a (free) iPhone app about cricket calls. It's a learning exercise for me to learn iPhone programming. I would love to extract your theory to provide as info in the app. "bruce at martinduo dot com"

Watcher said...

Bruce- go right ahead. Keep in mind though that the "theory" is just conjecture.

Anonymous said...

Love love love this blog. My dad just passed away a few weeks ago. He was a nature lover to no end, and he taught me everything there is to know about all animals and creatures. I never got a chance to ask him why crickets chirp in the daytime at the end of summer. I'm sitting in my backyard in Delaware now, wondering if anyone else ever noticed this. I love your theory, and I do agree that this theory should most definitely apply to our lives..

Watcher said...

Anon- I'm sorry about your Dad. He sounds like a great guy, and how lucky for you that he shared with you so much of his knowledge and passion for the natural world. I hope your memories of him are a source of comfort to you in the short-term, and happiness in the long.

Anonymous said...

Seasonal and Daily Chirping Cycles

### Attached: crystal structures
~~~
1.
Entry from the Materials Project database: a relaxed structure of RbFeP2O7 (PBE with a Hubbard U).

Energy relative to the elements (eV per atom): -2.535
E (eV per atom): -6.884

Cell and atoms, written as POSCAR:
```
RbFeP2O7
1.0
10.158 0.000 0.000
0.000 7.630 0.000
0.000 2.306 8.091
Rb Fe P O
4 4 8 28
Cartesian
6.975 3.613 7.672 Rb
1.896 7.476 4.464 Rb
3.183 6.323 0.419 Rb
8.262 2.460 3.626 Rb
4.059 2.377 1.954 Fe
9.138 6.406 2.092 Fe
6.099 7.559 6.137 Fe
1.020 3.530 5.999 Fe
4.106 2.537 5.414 P
9.185 8.552 6.722 P
6.052 7.399 2.676 P
0.973 1.384 1.369 P
1.334 4.018 2.539 P
6.413 4.765 1.507 P
8.824 5.918 5.552 P
3.745 5.171 6.584 P
2.815 3.979 2.123 O
7.894 4.804 1.923 O
7.343 5.957 5.968 O
2.264 5.132 6.168 O
10.140 8.192 2.202 O
5.061 0.591 1.843 O
0.018 1.744 5.888 O
5.097 9.345 6.248 O
1.056 3.587 3.973 O
6.135 5.196 0.073 O
9.102 6.349 4.118 O
4.023 4.740 8.018 O
0.889 3.426 7.975 O
5.968 7.663 4.161 O
9.269 6.510 0.115 O
4.190 2.273 3.930 O
0.541 2.939 1.596 O
5.620 5.844 2.449 O
9.617 6.997 6.495 O
4.538 4.092 5.641 O
2.689 2.356 5.987 O
7.769 8.733 6.149 O
7.469 7.580 2.104 O
2.390 1.203 1.941 O
4.339 6.530 6.211 O
9.418 4.559 5.925 O
5.819 3.406 1.879 O
0.740 5.377 2.166 O
```

2.
Entry from the Materials Project database: a relaxed structure of Ba2MgW2O8 (PBE with a Hubbard U).

Energy relative to the elements (eV per atom): -2.612
E (eV per atom): -6.963
Energy above the most stable polymorph in this dataset (kJ per mole of atoms): 0.0

Cell and atoms, written as POSCAR:
```
Ba2MgW2O8
1.0
-2.840 1.962 -2.246
-4.134 -3.806 1.880
0.275 4.113 7.004
Ba Mg W O
2 1 2 8
Cartesian
-2.281 -0.951 2.073 Ba
-6.330 1.385 5.394 Ba
-4.411 -1.174 4.508 Mg
-2.817 2.296 5.540 W
-1.704 1.869 0.009 W
-4.525 -1.802 0.358 O
-2.976 1.456 1.283 O
-4.326 -2.747 3.052 O
-4.321 3.402 4.624 O
-5.379 -0.227 2.791 O
-1.535 2.514 4.106 O
-3.656 0.652 5.142 O
-2.112 4.089 6.202 O
```

3.
Entry from the Materials Project database: a relaxed structure of Na3Co4O8 (PBE with a Hubbard U).

Energy relative to the elements (eV per atom): -1.393
E (eV per atom): -5.389
Energy above the most stable polymorph in this dataset (kJ per mole of atoms): 11.6

Cell and atoms, written as POSCAR:
```
Na3Co4O8
1.0
10.116 4.550 2.676
8.564 7.124 -2.472
-10.173 -4.549 2.454
Na Co O
3 4 8
Cartesian
3.859 4.208 0.892 Na
4.629 2.917 3.466 Na
-0.019 0.000 1.699 Na
6.206 5.687 2.626 Co
6.969 4.356 0.085 Co
-7.872 -3.111 2.473 Co
11.710 7.318 0.136 Co
2.471 3.328 -0.852 O
3.260 2.050 1.706 O
1.491 0.956 3.413 O
0.650 2.203 0.939 O
6.998 6.170 0.907 O
-2.280 0.372 0.907 O
5.266 5.075 -0.838 O
6.056 3.797 1.753 O
```

Repeat the third record exactly.
Entry from the Materials Project database: a relaxed structure of Na3Co4O8 (PBE with a Hubbard U).

Energy relative to the elements (eV per atom): -1.393
E (eV per atom): -5.389
Energy above the most stable polymorph in this dataset (kJ per mole of atoms): 11.6

Cell and atoms, written as POSCAR:
```
Na3Co4O8
1.0
10.116 4.550 2.676
~~~

Anonymous said...

Thank you Watcher, that was one of the most gracefully put compliments I have heard about my father since he passed. I have shared this blog with my family, and continue to listen to those crickets in my backyard- giving it everything they have got all day long!

Unknown said...

I was driving with my curious six-year old daughter on a cool May day just recently. The windows of the truck were down slightly and were heard the chirping of a cricket outside. My daughter said to me, "I thought crickets only chirped at night." I told I wasn't sure but maybe they like to chirp when it is cool out so that is what brings them out at night and maybe cool spring days as well. Then I asked her if she was studying crickets in school. She said no. I asked her who told her crickets only chirp at night. She said she just noticed that's the only time she's heard them chirp. I'm curious to see if she will notice the increased end of summer daytime chirping this summer. I don't remember being so observant about the natural world when I was her age!

Unknown said...

Hollywood also teaches us that crickets chirp at night. Think of every scene in a TV show or movie where you heard crickets, it's always evening or night. The 6-YO probably picked up on that too like I did when I was little. Growing up in Arizona I thought it was weird to hear crickets in the middle of the day. Now I live in Kansas with 4 seasons and hear them during the day in late summer. Soon the nights will get too cold for them to chirp at night.

Drelhak said...

I just got back from a section hike on the Appalachian Trail in northern Tennessee (Sept 17-20). Late the first night (I would guess between 2-4am) I was awake in the shelter the crickets were chirping loud when all of a sudden they all fell silent. The woods were then completely silent! I must say it freaked me out a little. I had no idea why they all stopped in unison. They had been chirping loud and non-stop all night up to that point. I was perfectly still and not moving about when it happened.

The next night the same thing happened again, this time however I noticed a chill in the air right after they went silent. I was wondering if the crickets might have stopped because the air temp suddenly dropped below some critical temp. Any thoughts?

Eetheart said...

Good stuff!

Unknown said...

Very cool! I'm writing a story with crickets as characters and came across this. Definitely bookmarked. Hope to read more from you.

WestsideIlluminati said...

Really cool theory! I would consider myself to be an amateur scientist in a sense, or rather, an hobby scientist - but I came across your blog whilst sitting outside pondering why it is that the crickets are chirping as it's currently mid to late afternoon (Australian summer here too) and being close to the end of January know it's common for them here to start day chirping. I've got a few theories of my own I've developed over the years as for some reason, I've always been fascinated by these little guys! Last autumn I released close to 4000 live crickets, after noticing a strong decline in the population in prior years. My goal was to see a) if it would increase and if so, by how much and b) if the weather patterns from the time I released them varied from the prior year (using data from the BoM and from my own observations) and have found that whilst the year leading up to today (25/1/17 here currently) did vary drastically weather wise ie; the year prior was a warmer winter and very hot spring for my area that it did plateau back and generally remained above average in temperature, along with several unexpected 'once in a' weather events. After hearing none the winter before, I was fortunate enough to start seeing the population rise by the end of winter which brought a lovely chorus with it and can safely say the population is doing well having been lucky enough to see a few of them wandering around the back yard late at night. It's now late January and the day chirping has begun, so I'm hoping the next year will give me a bigger field of data to work with across the whole but otherwise I'd have to say your theory seems to fit quite well with what I'm seeing here on the other side of the world.

The text is interrupted by crystal structures:
- - -
(1)
Computed, not measured: Si after structural relaxation at the meta-GGA r2SCAN level of DFT.

abc: 5.4437 5.4437 5.4437
angles: 90.00 90.00 90.00
Space group Fd-3m (No. 227, origin choice 2)
Symmetry-distinct sites (fractional):
1 Si 0.1250 0.1250 0.1250 [8 per cell]

Output
V in Å³/cell: 161
E above lowest polymorph in eV/atom: 0.000

***

(2)
Computed, not measured: DyNiGe after structural relaxation at the meta-GGA r2SCAN level of DFT.

abc: 6.8976 4.2023 7.2215
angles: 90.00 90.00 90.00
Space group Pnma (No. 62)
Symmetry-distinct sites (fractional):
1 Dy 0.0085 0.2500 0.2074 [4 per cell]
2 Ni 0.1915 0.7500 0.4186 [4 per cell]
3 Ge 0.1980 0.2500 0.5883 [4 per cell]

Output
V in Å³/cell: 209
Final energy in eV/atom: -20.124

***

(3)
Computed, not measured: SmInNi after structural relaxation at the meta-GGA r2SCAN level of DFT.

abc: 7.4980 7.4980 3.8426
angles: 90.00 90.00 120.00
Space group P-62m (No. 189)
Symmetry-distinct sites (fractional):
1 Sm 0.0000 0.4145 0.0000 [3 per cell]
2 In 0.0000 0.7504 0.5000 [3 per cell]
3 Ni 0.0000 0.0000 0.0000 [1 per cell]
4 Ni 0.3333 0.6667 0.5000 [2 per cell]

Output
V in Å³/cell: 187
Final energy in eV/atom: -21.954

***

(4)
Computed, not measured: Er2ZnIr after structural relaxation at the meta-GGA r2SCAN level of DFT.

abc: 6.8497 6.8497 6.8497
angles: 90.00 90.00 90.00
Space group Fm-3m (No. 225)
Symmetry-distinct sites (fractional):
1 Er 0.2500 0.2500 0.2500 [8 per cell]
2 Zn 0.0000 0.0000 0.0000 [4 per cell]
3 Ir 0.0000 0.0000 0.5000 [4 per cell]

Output
V in Å³/cell: 321
Final energy in eV/atom: -33.030

***

(5)
Computed, not measured: K3NaRu2O8 after structural relaxation at the meta-GGA r2SCAN level of DFT.

abc: 10.2193 5.9450 15.1474
angles: 90.00 91.50 90.00
Space group C2/c (No. 15)
Symmetry-distinct sites (fractional):
1 K 0.0000 0.0675 0.2500 [4 per cell]
2 K 0.1717 0.4695 0.9194 [8 per cell]
3 Na 0.0000 0.0000 0.0000 [4 per cell]
4 Ru 0.1643 0.4743 0.6429 [8 per cell]
5 O 0.0690 0.2299 0.6228 [8 per cell]
6 O 0.0816 0.3062 0.0823 [8 per cell]
7 O 0.1808 0.4328 0.2528 [8 per cell]
8 O 0.1846 0.0448 0.4127 [8 per cell]

Output
V in Å³/cell: 920
Final energy in eV/atom: -10.078

***

(6)
Computed, not measured: AcClO after structural relaxation at the meta-GGA r2SCAN level of DFT.

abc: 4.2592 4.2592 7.1227
angles: 90.00 90.00 90.00
Space group P4/nmm (No. 129, origin choice 2)
Symmetry-distinct sites (fractional):
1 Ac 0.2500 0.2500 0.1775 [2 per cell]
2 Cl 0.2500 0.2500 0.6317 [2 per cell]
3 O 0.2500 0.7500 0.0000 [2 per cell]

Output
V in Å³/cell: 129
Final energy in eV/atom: -30.408

***

(7)
Computed, not measured: MnH7C3NO6 after structural relaxation at the meta-GGA r2SCAN level of DFT.

abc: 12.5158 12.5158 8.6241
angles: 90.00 90.00 120.00
Space group P6_3 (No. 173)
Symmetry-distinct sites (fractional):
1 Mn 0.0075 0.3365 0.0000 [6 per cell]
2 H 0.0000 0.0000 0.4413 [2 per cell]
3 H 0.0292 0.0892 0.0973 [6 per cell]
4 H 0.0503 0.4953 0.6991 [6 per cell]
- - -

Jonathan Evans said...

I have noticed this too. (Which is why and did a search and found your post.) I wondered If I was correct in noticing that at the end of summer you hear crickets during the day, but not earlier in the summer. I heard it recently and wondered why it felt like fall to me. It seemed to be the crickets.

Unknown said...

Its October 16,2020. The temperature is about 37degrees in macomb county michigan...the leaves are completely off the tree in front of my house..Since the last 3 years the leaves were on until the last week of October/first week of on October 15, 2020 all the leaves have fell off..INTERESTING ENOUGH FOR THE LAST 3 WEEKS THE CRICKETS HAVE CHIRPED NON STOP..ONLY HEARD 2 this past week..I always concluded that Winter and the Cold weather this year is 3 Weeks Early...ITS BY THE START OF CHIRPING OF CRICKETS SPRING HAS ARRIVED..AND WINTER WILL BE 3 WEEKS EARLY AND THE COLD SINCE THE CRICKETS STOPPED CHIRPING I HAVE NOTICED THIS FOR OVER 40 YEARS.ITS 7:30 AM EST. OCTOBER 16, 2020

Unknown said...


Andrew said...

Between two parts of the text: data records =
# Cs2AgIrF6 PBE optimized geometry
# Energy of formation (eV/atom): -2.172
# Total energy after the MP2020 corrections (eV per atom): -4.67
data_Cs2AgIrF6
_cell_length_a 6.415
_cell_length_b 6.415
_cell_length_c 6.415
_cell_angle_alpha 60.00
_cell_angle_beta 60.00
_cell_angle_gamma 60.00
_space_group_name_H-M_alt 'P 1'
_space_group_IT_number 1
_space_group_name_Hall 'P 1'
loop_
_atom_site_label
_atom_site_type_symbol
_atom_site_fract_x
_atom_site_fract_y
_atom_site_fract_z
Cs1 Cs 0.250 0.250 0.250
Cs2 Cs 0.750 0.750 0.750
Ag1 Ag 0.000 0.000 0.000
Ir1 Ir 0.500 0.500 0.500
F1 F 0.273 0.273 0.727
F2 F 0.273 0.727 0.273
F3 F 0.273 0.727 0.727
F4 F 0.727 0.273 0.273
F5 F 0.727 0.273 0.727
F6 F 0.727 0.727 0.273

---

# Cs2PrAgF6 PBE optimized geometry
# Energy of formation (eV/atom): -3.149
# Total energy after the MP2020 corrections (eV per atom): -5.24
data_Cs2PrAgF6
_cell_length_a 6.795
_cell_length_b 6.795
_cell_length_c 6.795
_cell_angle_alpha 60.00
_cell_angle_beta 60.00
_cell_angle_gamma 60.00
_space_group_name_H-M_alt 'P 1'
_space_group_IT_number 1
_space_group_name_Hall 'P 1'
loop_
_atom_site_label
_atom_site_type_symbol
_atom_site_fract_x
_atom_site_fract_y
_atom_site_fract_z
Cs1 Cs 0.250 0.250 0.250
Cs2 Cs 0.750 0.750 0.750
Pr1 Pr 0.000 0.000 0.000
Ag1 Ag 0.500 0.500 0.500
F1 F 0.240 0.240 0.760
F2 F 0.240 0.760 0.240
F3 F 0.240 0.760 0.760
F4 F 0.760 0.240 0.240
F5 F 0.760 0.240 0.760
F6 F 0.760 0.760 0.240

---

# Cs2GaAgI6 PBE optimized geometry
# Energy of formation (eV/atom): -1.035
# Total energy after the MP2020 corrections (eV per atom): -2.71
data_Cs2GaAgI6
_cell_length_a 8.340
_cell_length_b 8.340
_cell_length_c 8.340
_cell_angle_alpha 60.00
_cell_angle_beta 60.00
_cell_angle_gamma 60.00
_space_group_name_H-M_alt 'P 1'
_space_group_IT_number 1
_space_group_name_Hall 'P 1'
loop_
_atom_site_label
_atom_site_type_symbol
_atom_site_fract_x
_atom_site_fract_y
_atom_site_fract_z
Cs1 Cs 0.250 0.250 0.250
Cs2 Cs 0.750 0.750 0.750
Ga1 Ga 0.000 0.000 0.000
Ag1 Ag 0.500 0.500 0.500
I1 I 0.244 0.244 0.756
I2 I 0.244 0.756 0.244
I3 I 0.244 0.756 0.756
I4 I 0.756 0.244 0.244
I5 I 0.756 0.244 0.756
I6 I 0.756 0.756 0.244


No. 1
This record from the Materials Project database describes an optimized crystal structure of PtC2S2N4. The functional is PBE.

Unit cell a=7.672 b=8.840 c=14.390 alpha=90.00 beta=117.96 gamma=90.00
Space group P2_1/c (No. 14)
One atom of each set of equivalent atoms:
Pt (0.243, 0.198, 0.229)
C (0.249, 0.663, 0.395)
C (0.298, 0.710, 0.147)
S (0.070, 0.540, 0.370)
S (0.478, 0.660, 0.687)
N (0.165, 0.625, 0.117)
N (0.182, 0.201, 0.092)
N (0.199, 0.125, 0.332)
N (0.385, 0.744, 0.416)

Summary:
Corrected total energy (MP2020 scheme): -231.0 eV per cell
ΔH_f (0 K): 934 meV per atom

No. 2
This record from the Materials Project database describes an optimized crystal structure of ZnPtC4N4. The functional is PBE.

Unit cell a=5.490 b=5.490 c=13.359 alpha=90.00 beta=90.00 gamma=90.00
Space group P4_2/mcm (No. 132)

I think another commenter is probably right in that they chirp in the daytime when it gets too cool at night. I also saw your theory elsewhere on the internet but your blog is fifteen years old at this writing (2024) so who knows? They could have gotten the idea from you.